Author > Activating questionnaires > Activate Current Project: Participants settings > Uploading participant records
Uploading participant records
This topic explains how to upload participant records using the Activate dialog box.
Note You can only upload participant records if your UNICOM Intelligence Interviewer - Server Admin user profile is assigned the Can upload participants activity feature in UNICOM Intelligence Interviewer - Server Admin. For more information, see “Assigning users or roles to activity features” in the UNICOM Intelligence Interviewer - Server Admin User's Guide.
Using this method to load records is generally the same as loading records using the Participants activity in UNICOM Intelligence Interviewer - Server Admin, but there are some restrictions that apply to the participants text file. Whereas the Participants activity accepts any field names in the participants text file, and provides facilities for mapping fields in the file to the field names that the sample management system requires in the database, the Activate component does not. This means that all fields that are present in the text file, and that are required sample management fields, must have the correct names in the text file. For example, the record Id must be stored in a field called Id. If the field name is RecNum, you must change this in the header line of the text file before you upload records.
To upload participant records
1 Select Upload (located under the Participants node).
2 Select Upload participants and click Browse.
This opens the Specify Participants dialog box.
== Attached: calculated crystals ==
Entry 1:
# LiTbEu
Computed powder XRD pattern, Cu Kα. Input: a crystal structure in Alexandria, relaxed with PBE.

Peak list (12 most intense, 2θ from 5° to 70°, in order of falling intensity)
- d 2.850, 2θ = 31.4°, rel. 1000
- d 3.630, 2θ = 24.5°, rel. 655
- d 2.673, 2θ = 33.5°, rel. 466
- d 1.575, 2θ = 58.6°, rel. 339
- d 2.065, 2θ = 43.8°, rel. 273
- d 3.253, 2θ = 27.4°, rel. 241
- d 1.668, 2θ = 55.1°, rel. 194
- d 1.890, 2θ = 48.1°, rel. 169
- d 6.505, 2θ = 13.6°, rel. 158
- d 1.684, 2θ = 54.5°, rel. 151
- d 1.676, 2θ = 54.8°, rel. 146
- d 1.634, 2θ = 56.3°, rel. 130

Atomic structure:
```
3
Lattice="-1.890 1.890 6.505 1.890 -1.890 6.505 1.890 1.890 -6.505" Properties=species:S:1:pos:R:3 pbc="T T T"
Li 0.000 0.000 0.000
Tb 0.000 0.000 8.340
Eu 0.000 0.000 4.445
```

---

Entry 2:
# LiEuTe
Computed powder XRD pattern, Cu Kα. Input: a crystal structure in Alexandria, relaxed with PBE.

Peak list (12 most intense, 2θ from 5° to 70°, in order of falling intensity)
- d 2.950, 2θ = 30.3°, rel. 1000
- d 2.287, 2θ = 39.4°, rel. 338
- d 3.962, 2θ = 22.4°, rel. 333
- d 1.808, 2θ = 50.5°, rel. 239
- d 1.589, 2θ = 58.0°, rel. 216
- d 1.418, 2θ = 65.9°, rel. 215
- d 2.210, 2θ = 40.8°, rel. 102
- d 1.381, 2θ = 67.9°, rel. 98
- d 1.930, 2θ = 47.1°, rel. 94
- d 1.981, 2θ = 45.8°, rel. 51
- d 1.497, 2θ = 62.0°, rel. 41
- d 1.475, 2θ = 63.0°, rel. 39

Atomic structure:
```
3
Lattice="4.575 0.000 0.000 -2.287 3.962 0.000 0.000 0.000 4.420" Properties=species:S:1:pos:R:3 pbc="T T T"
Li 0.000 0.000 0.000
Eu 0.000 2.641 2.210
Te 2.287 1.321 0.000
```

---

Entry 3:
# Eu2LuMg
Computed powder XRD pattern, Cu Kα. Input: a crystal structure in Alexandria, relaxed with PBE.

Peak list (12 most intense, 2θ from 5° to 70°, in order of falling intensity)
- d 2.951, 2θ = 30.3°, rel. 1000
- d 2.611, 2θ = 34.3°, rel. 365
- d 1.565, 2θ = 59.0°, rel. 302
- d 9.819, 2θ = 9.0°, rel. 226
- d 1.789, 2θ = 51.1°, rel. 222
- d 3.456, 2θ = 25.8°, rel. 176
- d 2.454, 2θ = 36.6°, rel. 157
- d 1.846, 2θ = 49.4°, rel. 131
- d 1.476, 2θ = 63.0°, rel. 124
- d 1.496, 2θ = 62.0°, rel. 114
- d 2.042, 2θ = 44.4°, rel. 81
- d 3.273, 2θ = 27.2°, rel. 63

Atomic structure:
```
4
Lattice="3.693 0.000 0.000 0.000 3.693 0.000 0.000 0.000 9.819" Properties=species:S:1:pos:R:3 pbc="T T T"
Eu 0.000 0.000 2.328
Eu 0.000 0.000 7.491
Lu 1.846 1.846 4.910
Mg 1.846 1.846 0.000
```

---

Entry 4:
# EuLuNi2
Computed powder XRD pattern, Cu Kα. Input: a crystal structure in Alexandria, relaxed with PBE.

Peak list (12 most intense, 2θ from 5° to 70°, in order of falling intensity)
- d 2.410, 2θ = 37.3°, rel. 1000
- d 2.385, 2θ = 37.7°, rel. 519
- d 1.382, 2θ = 67.8°, rel. 338
- d 3.373, 2θ = 26.4°, rel. 236
- d 1.686, 2θ = 54.4°, rel. 177
- d 3.447, 2θ = 25.9°, rel. 145
- d 1.397, 2θ = 67.0°, rel. 144
- d 1.961, 2θ = 46.3°, rel. 127
- d 1.535, 2θ = 60.3°, rel. 84
- d 1.723, 2θ = 53.1°, rel. 73
- d 1.515, 2θ = 61.2°, rel. 57
- d 1.508, 2θ = 61.5°, rel. 49

Atomic structure:
```
4
3 In Delimiter, select the character that separates the fields in each record. The default is a comma. If you pick a different character, this becomes the default the next time you activate a project.
4 Click Browse and select the .txt or .csv file you want to upload.
5 The upload process automatically randomizes records as it loads them. Click Re-randomize all participant records during import if you want to cancel the randomization process.
6 Click OK.
Activate checks the participants text file and displays the fields in the fields table.
7 Make whatever changes are appropriate in this table.
8 Use the Participants: Fields and Participants: Script settings to select the sample database and table you want to use, and the sample management script that will control access to the participant records.
See also
Required fields for Web interviews
Required fields for telephone interviews
Required fields for personal interviews
Using the fields
See also
Activate Current Project: Participants settings